Saturday, February 24, 2018

How Will The Union Leadership Respond To The Janus Decision?

Before the end of the school year it's expected the Supreme Court in a 5 to 4 decision will rule in favor of Janus and dues will become voluntary not mandatory.  The result will be that approximately 20% of the teachers will refuse to allow the union to take out their dues from their paycheck.

The union leadership wants to get the State Legislature to allow for the State to work out a mandatory dues program but with the State Senate controlled by the Republicans, that seems to be wishful thinking.  Without State intervention, the union has developed two strategies to encourage members to pay their dues.  The first, is a door knocking campaign that will have loyal members of the "Unity caucus"  knock on every members door to exchange personal stories about how the union helped them to convince the member to pay their dues,  The second,  is to establish membership meeting at every school to tell active school staff why it's important to continue to pay dues to keep the union strong and effective.

In Michigan, when the State eliminate the mandatory dues for public sector unions, the dropout rate was 20%.  Despite a strong effort by teacher unions to get members to pay their dues, still 18% dropped out.  Obviously, the Michigan law is much more relevant to what will happen in New York State than what happened in Wisconsin, where union collective bargaining rights were eliminated that resulted in reduction of teacher benefits and limited pay raises amd have caused a severe teacher shortage in the State.  You can read my post on Why New York State Is Not Wisconsin.

One group the union will most certainly lose are the ATRs.  While they amount to only 2% of all teachers, they are a vocal group.  Moreover, many ex-ATRs still harbor resentment to the union leadership on how they were treated by the union during their time being excessed.  Finally, all the teachers who were forced out of the closing schools to look for new positions were not happy with the union's inability to fight the DOE by taking action.  Instead the union acquiesced to the DOE school closing policy.

Another group that might not pay voluntary dues are the veteran teachers who know how the union leadership has allowed the DOE to impose policies that discrimate against them, like Fair Student Funding and tight school budgets that penalizes principals who hire veteran teachers.

Maybe after the Janus decision the union will start to treat their members as customers and provide them the services they pay for rather than looking at them as a nuisance since they are required to pay their dues.  How much will the union downsize after the Janus decision?  Only time will tell but downsize they must since a 20% cut in dues will require many jobs to be eliminated at the union.

Note:  An audit done by Comptroller Scott Stringer  found that the Department of Education escalated their spending on its Central Bureaucracy and was put on his "watch list".  Here is what he said.

Stringer red-flagged the school system, where he found central administration staff has soared by 24 percent since 2012 — double the 12 percent rate of teachers.


Anonymous said...

Who will do the pension consults? I’m retiring this year and going for my Final in June.

Anonymous said...

How many seasoned teachers remember approximately 14 years ago when Randy Weingarten stated: "We are never giving in on our contract." We lost the 8.25% TDA Fixed account return (down to 7%). Randi stated that the CSA principals union agreed to the 7% reduction as well. In 2018, the CSA still enjoys the 8.25% return. When Mulgrew ran for UFT Presidency, he stated: "I'LL
EARN YOUR VOTE EVERY DAY." We still have the highest class sizes in the state. We never gained back the 8.25% TDA fixed rate. The UFT refuses to post union salary and compensation packages in the newspaper. The newspaper used to be published twice a month but now only once a month. Charles Cogen, the 1st UFT president received a salary of a top teacher. Mulgrew's compensation package is 3 TIMES HIGHER THAN A TOP TEACHER SALARY. UFT'ers pay the highest union dues in the city. Other unions vote to raise union dues. Not the automatic UFT dues.

Shady said...

Clearly, Mulgrew and UFT's arrogance is going to hurt them. If you have ever attempted to contact Mulgrew or a higher up - you know and have experienced the arrogance. UFT looks down on its members. They still have a top down model which is a very similar model Farina herself endorses. This was the model used in the 60s and 70s but many companies have evolved. Klein for example would say "email me directly". School aides could email Klein and he'd respond. Not Mulgrew. Not Carmen. Not UFT. If you email them with an issue then you become an issue. They go after you. Janus won't help their arrogance and ignorance. Mulgrew is kind of slow. Probably was held back a couple of times and resents teachers. I was held back myself but I do not resent teachers because I also know some of them passed me along the way.

More important than Janus is Trump wanting to arm us. I am all in. Biggest gun wins. I already flew to Arizona to get an AK47. As an ATR walking around with an AK47 nobody is going to tell me what to do. I mean nobody.

Personally, I do not recommend every teacher being able to carry. As much as I love teachers and believe me I really do love teachers. I have made love to over 89 of them in my 15 years in the DOE. However, I know some of them are not qualified to handle arms in the classroom. We are going to have the one who asks students to show her how to load and unload the gun. The one that passes her gun around the room. The one who loses it completely by sticking his/her gun in the kid's mouth for talking. The one who tells the principal "go ahead and u-rate me bitch. make my fuckin day.' The one who tells investigators "get the fuck out of my face now." The one who sells bullets for kids because she/he are underpaid. But overall we need to be armed. Let's support Trump's initiative. We need to get behind this bill now. Nobody is going to fuck with an armed nut in the classroom. We will be much stronger.

Over 67 percent of the ATRs surveyed want to carry arms in schools. This is eighteen percent more than total NY City teachers surveyed. We need to stick together and have armed teachers.

Shady said...

As arrogant as Mulgrew is and as slow he Mulgrew and UFT are - we still need to pay dues and support unions. Without unions we are simply fucked. We are fucked now but imagine how screwed we'd be without unions. No ATR would have a job. Anyone even considering not paying dues is a dummy. If we want change we need to get together and make noise and screw with Mulgrew but screwing ourselves by not paying dues and opting out of union is not the answer. Kiss our salaries goodbye. The public already thinks we are overpaid bums. Think twice before opting out of union. Think once and let's arm ourselves. Guns for all.

Anonymous said...

I really think that here in NYC we will see around 30% of teachers refusing to pay dues. You are forgetting about a big demographic: newbie teachers. There are many young teachers who not only don't care about union politics, but they would love to have an extra $1,400 per year. A huge portion of young teachers are using their DOE experience as a stepping stone to either get a better teaching job in the suburbs or move on to a "real" career in business or other profession. I personally know many younger teachers at my school who have flat out told me they are not planning on teaching for 25-25 years in the DOE. As for me, I am a veteran teacher. I am going to base my choice on weather or not to stop paying dues on how the next contract with the city comes out. If Mulgrew gets us another contract with no changes to such things as less observations and gutting Danielson, then I will be more than happy to keep that extra cash and use it for a well deserved vacation.

Anonymous said...

Thanks 8:21, the best laugh-I really needed it!

Anonymous said...

A minority of UFT teachers is aware of the issues that most affect veteran NYC teachers, and unfortunately even this minority is quite split on the solutions, so therein lies the quandary. We have a one party monopoly in our Union that does a minimal job of serving our needs, but we realize things would be worse without it. It is unlikely that an opposition party can gain control in the short run. And, there is compelling evidence that UFT is at best a poor lobbying group and at worst an active colluder.

Maybe the Janus decision, which I agree will most likely support the anti-union position, can be used for positive leverage.

Maybe to retain dues-paying members, the UFT will have to get some real wins. Reduce the obs, get us away from test based accountability, restore 8.25, etc.

It does not look like UFT is moving towards an agenda with those wins in mind. What it looks like, a small raise, family leave that we have to somehow pay for, and status quo.

I agree a lot of new teachers might stop paying dues - most don't even understand what a union, good or bad, does. Money in the pocket, esp if one only plans to hang around for a short time, will speak volumes.

Most veterans have some conception of the importance of our contract. Without a contract this job is untenable. But even the basics of the contract are taken for granted by so many.

I have generally supported union activity as a necessary counter to administrative abuses in our profession, and also for the necessity of workplace protections and need for a retirement package that shows the value of what we do for society. It would be great for UFT to step up now, with a Mayor and Governor who could benefit from good union relationships in the coming years, instead of lay low and continue agreeing with the Bloomberg and "Old Cuomo" policies still on the books.

Also worth noting, the Trump politics and tax cuts will inevitably harm the middle class and unions and weaken the overall position. And, arming teachers is a terrible idea for so many obvious reasons. If people are so concerned about safety, install scanners and put cops in the entries of schools. Arming teachers is foolish and will lead to disaster.

Anonymous said...

I’m an ATR and there’s no way I will continue to pay those fat slobs in tight suits another dime. Good fucking riddance to Mulgrew, Povalitis, Robinson, Barr, Arundel and especially Sill.

Anonymous said...

I will pay unions in exchange for a fair evaluation system. Want I want: Back to the S/U, no testing mandate, one observation per term for satisfactory teachers.

Want I would settle for: Get rid of Danielson - replace with a teacher-created rubric.
2 observations but NO drive-by observations - must be announced.
Testing Mandate optional - if teachers want it, he/she can opt in.
if not,100% based off observations/other criteria. Other criteria should have to do with professional responsibilities - attendance, club advisors, C6, committees, tutoring, all the other things teachers do and get no credit for. Portfolio option.

Anonymous said...

== Records of crystals, kept here for reference ==
Structure and calculated X-ray diffraction stick pattern of Tb3AuSe3 (a structure optimized by DFT (PBE); λ = 1.5418 Å (Cu Kα)).

Largest 8 diffraction maxima, by intensity, 2θ from 10° to 90°:
d 2.483, 36.18°, rel. 100
d 2.395, 37.55°, rel. 80
d 3.447, 25.84°, rel. 61
d 6.841, 12.94°, rel. 26
d 1.724, 53.13°, rel. 23
d 2.884, 31.01°, rel. 23
d 1.882, 48.38°, rel. 22
d 1.247, 76.37°, rel. 21

Lattice parameters (Å, degrees): 7.611 7.611 7.611 68.80 68.80 68.80
Fractional coordinates of all 14 atoms:
Tb  0.046  0.423  0.784
Tb  0.216  0.954  0.577
Tb  0.423  0.784  0.046
Tb  0.577  0.216  0.954
Tb  0.784  0.046  0.423
Tb  0.954  0.577  0.216
Au  0.157  0.157  0.157
Au  0.843  0.843  0.843
Se  0.130  0.702  0.407
Se  0.298  0.593  0.870
Se  0.407  0.130  0.702
Se  0.593  0.870  0.298
Se  0.702  0.407  0.130
Se  0.870  0.298  0.593


Structure and calculated X-ray diffraction stick pattern of TcAuSe2 (a structure optimized by DFT (PBE); λ = 1.5418 Å (Cu Kα)).

Largest 8 diffraction maxima, by intensity, 2θ from 10° to 90°:
d 5.075, 17.48°, rel. 100
d 2.320, 38.81°, rel. 67
d 2.568, 34.93°, rel. 57
d 5.263, 16.85°, rel. 50
d 2.117, 42.71°, rel. 49
d 2.057, 44.03°, rel. 41
d 2.978, 30.01°, rel. 34
d 2.844, 31.46°, rel. 27

Lattice parameters (Å, degrees): 6.966 6.966 5.687 114.07 114.07 107.57
Fractional coordinates of all 8 atoms:
Tc  0.000  0.000  0.000
Tc  0.000  0.000  0.500
Au  0.084  0.665  0.125
Au  0.665  0.084  0.625
Se  0.249  0.387  0.068
Se  0.387  0.249  0.568
Se  0.649  0.870  0.010
Se  0.870  0.649  0.510


Structure and calculated X-ray diffraction stick pattern of TeAuSe2 (a structure optimized by DFT (PBE); λ = 1.5418 Å (Cu Kα)).

Largest 8 diffraction maxima, by intensity, 2θ from 10° to 90°:
d 2.872, 31.15°, rel. 100
d 2.039, 44.42°, rel. 38
d 2.022, 44.83°, rel. 34
d 6.574, 13.47°, rel. 22
d 1.663, 55.24°, rel. 20
d 1.289, 73.48°, rel. 17
d 1.280, 74.08°, rel. 14
d 1.174, 82.09°, rel. 12

Lattice parameters (Å, degrees): 6.983 6.983 6.983 33.96 33.96 33.96
Fractional coordinates of all 4 atoms:
Te  0.000  0.000  0.000
Au  0.749  0.749  0.749
Se  0.244  0.244  0.244
Se  0.483  0.483  0.483


Structure and calculated X-ray diffraction stick pattern of Te6Au2Se (a structure optimized by DFT (PBE); λ = 1.5418 Å (Cu Kα)).

Largest 8 diffraction maxima, by intensity, 2θ from 10° to 90°:
d 3.676, 24.21°, rel. 100
d 2.916, 30.66°, rel. 79
d 2.142, 42.20°, rel. 65
d 2.621, 34.21°, rel. 56
d 3.156, 28.28°, rel. 41
d 3.780, 23.53°, rel. 41
d 2.805, 31.90°, rel. 38
d 2.285, 39.43°, rel. 31

Lattice parameters (Å, degrees): 9.493 9.493 7.349 112.68 112.68 88.30
Fractional coordinates of all 18 atoms:
Te  0.030  0.168  0.094
Te  0.039  0.573  0.227
Te  0.168  0.030  0.594
Te  0.287  0.512  0.851
Te  0.427  0.961  0.273
Te  0.488  0.713  0.649
Te  0.512  0.287  0.351
Te  0.573  0.039  0.727
Te  0.713  0.488  0.149
Te  0.832  0.970  0.406
Te  0.961  0.427  0.773
Te  0.970  0.832  0.906
Au  0.265  0.411  0.431
Au  0.411  0.265  0.931

With everyone paying union dues, the UFT has stood idly by while the DOE railroads countless innocent teachers out of their careers and consistently whittles away at our rights until we are little more than indentured servants. Observations are a joke, due process has been eroded, so all we have left is a worthless,low-paying job. I sincerely hope the Janus decision spells the end of the UFT. It's not like anything would really change if they went under.

Anonymous said...

-- Someone pasted crystal structures at this point --
-- begin --
Starting from a PBE-relaxed structure, the powder XRD pattern of Ba2MgZnCd2 was computed for copper Kα.

Top 10 peaks for 10 to 90 degrees two-theta, in order of rising 2θ:
hkl  2theta  intensity
0 0 2  24.87  41
2 0 0  25.62  38
1 4 1  28.70  100
0 4 2  33.67  43
2 4 0  34.25  40
2 0 2  36.00  70
1 4 3  46.23  26
3 4 1  47.11  26
1 8 1  49.31  36
3 8 1  62.90  30

Structural model:
a = 6.955 Å, b = 15.917 Å, c = 7.161 Å
α = 90.00°, β = 90.00°, γ = 90.00°
Space group Ibam (No. 72)
Unique sites:
Ba 0.242 0.164 0.000 (multiplicity 8)
Mg 0.000 0.500 0.250 (multiplicity 4)
Zn 0.000 0.000 0.250 (multiplicity 4)
Cd 0.241 0.097 0.500 (multiplicity 8)

=====

Starting from a PBE-relaxed structure, the powder XRD pattern of BaPd2Rh3S8 was computed for copper Kα.

Top 10 peaks for 10 to 90 degrees two-theta, in order of rising 2θ:
hkl  2theta  intensity
1 0 4  23.58  40
1 1 0  24.30  38
0 1 5  27.60  54
1 1 3  28.23  100
0 2 1  28.53  52
0 2 4  34.11  39
1 2 5  44.84  48
0 3 3  45.25  31
2 0 8  48.23  59
2 2 0  49.78  56

Structural model:
a = 7.3271 Å, b = 7.3271 Å, c = 18.7756 Å
α = 90.00°, β = 90.00°, γ = 120.00°
Space group R3m (No. 160, hexagonal axes)
Unique sites:
Ba 0.0000 0.0000 0.0000 (multiplicity 3)
Pd 0.0000 0.0000 0.2487 (multiplicity 3)
Pd 0.0000 0.0000 0.6293 (multiplicity 3)
Rh 0.0006 0.5003 0.1307 (multiplicity 9)
S 0.0000 0.0000 0.3977 (multiplicity 3)
S 0.0000 0.0000 0.8529 (multiplicity 3)
S 0.0704 0.5352 0.3929 (multiplicity 9)
S 0.1852 0.3704 0.2074 (multiplicity 9)

~~~~~

Starting from a GGA-PBE-relaxed structure, the XRD peak list of K2CeAgBr6 was computed for Cu Ka.
Kinematic intensities with the Lorentz-polarization factor, no thermal factor.

Top 12 peaks for 10 to 80 degrees two-theta, low angle first:
2θ/deg, I (rel.), (hkl)
15.43, 88, 2 0 0
21.89, 21, 2 2 0
26.90, 30, 2 2 2
31.16, 100, 4 0 0
34.95, 48, 4 2 0
44.64, 72, 4 4 0
47.51, 25, 6 0 0
52.89, 13, 6 2 2
55.44, 25, 4 4 4
64.98, 11, 8 0 0
67.24, 14, 6 4 4
73.82, 31, 8 4 0

Structural model:
```
data_K2CeAgBr6
_space_group_name_H-M_alt 'F m -3 m'
_space_group_IT_number 225
_space_group_name_Hall '-F 4 2 3'
_cell_length_a 11.4818
_cell_length_b 11.4818
_cell_length_c 11.4818
_cell_angle_alpha 90.00
_cell_angle_beta 90.00
_cell_angle_gamma 90.00
loop_
_atom_site_label
_atom_site_type_symbol
_atom_site_fract_x
_atom_site_fract_y
_atom_site_fract_z
K1 K 0.2500 0.2500 0.2500
Ce1 Ce 0.0000 0.0000 0.0000
Ag1 Ag 0.0000 0.0000 0.5000
Br1 Br 0.0000 0.0000 0.2516
```


Starting from a GGA-PBE-relaxed structure, the XRD peak list of CsAgBr2 was computed for Cu Ka.
Kinematic intensities with the Lorentz-polarization factor, no thermal factor.

Top 12 peaks for 10 to 80 degrees two-theta, low angle first:
2θ/deg, I (rel.), (hkl)
23.43, 89, 1 1 0
23.78, 26, 1 0 2
25.62, 29, 0 0 3
29.09, 56, 1 1 2
30.63, 80, 1 0 3
33.37, 100, 2 0 0
42.03, 21, 1 1 4
42.54, 29, 2 0 3
45.93, 51, 2 1 3
47.91, 35, 2 2 0
49.88, 36, 1 1 5
71.66, 24, 3 1 5

Structural model:
```
data_CsAgBr2
-- stop --

We all know that DC37 or another union is going to settle for a shitty raise. Thus it will be another union that sets the shitty pattern that we will get stuck with. We are ready and expect that. However, whet the UFT needs to do is fix the evaluation system here in NYC for the next contract. That will cost the city NOTHING. Get it done UFT or you are going to be loosing tens of thousands of members after Janus.

Anonymous said...

During the Florida townhall an officer stated teachers are underpaid. Sheriff dept staff hid, but you arm a teacher and there is nothing a teacher won't do to save their students. The RAMBO in every teacher would come out.

Anonymous said...

I talk with many teachers. They complain about paper work, administration, and the students.
I ask them who they voted for in the UFT election. They laugh, they giggle, and say they did not vote. No sympathy here. Keep voting for Mulgrew and nothing will change

Anonymous said...

It is the RETIRED teachers that keep voting for Mulgrew and Unity. We are the only NYC union that allows retired teachers to vote in presidential union elections. All the more reason to pull dues after Janus until the UFT can fight for WORKING teachers.

Anonymous said...

Mulgrew has,turned his back on veteran teachers maybe Fariña has some dirt on him.

Anonymous said...

I can't wait to hear the oral arguments tomorrow (Monday) at the Supreme Court "Janus" proceedings in Washington. The UFT doesn't deserve our dues anymore. Largest class sizes, excessive paperwork, inadequate supplies, no union contract mailed to members, district reps
schedule lunch meetings and come late, need I say more.
We need the fire , police or sanitation unions to represent us.

retired teacher said...

to 11:46 - As a retired teacher I pay dues to the UFT. It is reasonable that, because I pay dues, I can vote for union leadership.

ed notes online said...

Not just retired teachers vote for Unity.
Other than high schools, Unity still gets the bulk of the votes.
I too am retired. Our dues are much less than working members. Our votes should not determine the leadership - but until an opposition shows it can win the working members it doesn't make a difference if retirees vote.

ed notes online said...

Not just retired teachers vote for Unity.
Other than high schools, Unity still gets the bulk of the votes.
I too am retired. Our dues are much less than working members. Our votes should not determine the leadership - but until an opposition shows it can win the working members it doesn't make a difference if retirees vote.

Anonymous said...

Mulgrew is a disgrace.

Highly Effective King Clovis said...

Most people don't vote because most are unaware. When I worked in a school with a good chapter leader, I always voted. But I think many of these schools are so disjointed, word doesn't get out. I voted against the last contract. Voted against Unity. Others told me, "ah well what choice do we have?" You always have a choice.

IDK what I am going to do. Being an ATR sucks, but what would suck more would be being unemployed. It's not a win but it isn't a loss either. I will likely keep paying dues.

Anonymous said...

The Union has tolerated age discrimination by allowing ATRs to exist.

Anonymous said...

Sill is inarguably the worst of a bad breed. But he isn't fat and his suits fit.

== Records of crystals from another source follow ==
For Dy6ScCd, a structure optimized by DFT (GGA-PBE) gives the simulated XRD peak list in this record (Cu Ka).
Intensities are scaled so that the largest is 100.

Cell lengths 9.0674, 9.0674, 10.0534 Å; angles 90.00, 90.00, 120.00 degrees
Space group R-3 (No. 148, hexagonal axes)
Symmetry-distinct sites (fractional):
Dy (0.0239, 0.7664, 0.2208) (multiplicity 18)
Sc (0.0000, 0.0000, 0.5000) (multiplicity 3)
Cd (0.0000, 0.0000, 0.0000) (multiplicity 3)

Peak list (6 most intense, 15 to 90 degrees two-theta, most intense first)
2.847 Å, intensity 100, hkl 3 -1 1; 2.695 Å, intensity 66, hkl 2 -1 3; 2.556 Å, intensity 62, hkl 1 2 2; 3.094 Å, intensity 24, hkl 2 0 2; 1.773 Å, intensity 19, hkl 5 -2 1; 1.714 Å, intensity 18, hkl 4 1 0

~~~~~

(1)
For Ce6Si3Ru, a PBE-relaxed structure gives the computed powder XRD pattern in this record (λ = 1.5418 Å (Cu Kα)).
Peak positions follow from Bragg's law for the DFT cell and can differ from measured ones.

Top 10 peaks for 10° ≤ 2θ ≤ 90°, sorted by position:
2θ = 19.64°, intensity 17; 2θ = 25.51°, intensity 27; 2θ = 26.64°, intensity 31; 2θ = 28.09°, intensity 26; 2θ = 31.28°, intensity 16; 2θ = 33.92°, intensity 100; 2θ = 34.51°, intensity 32; 2θ = 35.38°, intensity 23; 2θ = 42.54°, intensity 19; 2θ = 49.72°, intensity 39

Structure:
```
Ce6Si3Ru
1.0
5.501 3.176 4.766
-5.501 3.176 4.766
0.000 -6.352 4.766
Ce Si Ru
12 6 2
direct
0.021 0.021 0.334 Ce
0.021 0.334 0.021 Ce
0.274 0.274 0.620 Ce
0.274 0.620 0.274 Ce
0.334 0.021 0.021 Ce
0.380 0.726 0.726 Ce
0.620 0.274 0.274 Ce
0.666 0.979 0.979 Ce
0.726 0.380 0.726 Ce
0.726 0.726 0.380 Ce
0.979 0.666 0.979 Ce
0.979 0.979 0.666 Ce
0.031 0.603 0.603 Si
0.397 0.397 0.969 Si
0.397 0.969 0.397 Si
0.603 0.031 0.603 Si
0.603 0.603 0.031 Si
0.969 0.397 0.397 Si
0.000 0.000 0.000 Ru
0.500 0.500 0.500 Ru
```

=====

(2)
For Ce4SiRu, a PBE-relaxed structure gives the computed powder XRD pattern in this record (λ = 1.5418 Å (Cu Kα)).
Peak positions follow from Bragg's law for the DFT cell and can differ from measured ones.

Top 10 peaks for 10° ≤ 2θ ≤ 90°, sorted by position:
2θ = 25.30°, intensity 61; 2θ = 26.52°, intensity 43; 2θ = 33.01°, intensity 97; 2θ = 33.15°, intensity 61; 2θ = 34.78°, intensity 37; 2θ = 36.47°, intensity 81; 2θ = 36.59°, intensity 39; 2θ = 37.32°, intensity 79; 2θ = 37.55°, intensity 75; 2θ = 37.82°, intensity 100

Structure:
```
Ce4SiRu
1.0
4.172 -6.266 0.000
4.172 6.266 0.000
-2.563 0.000 5.339
Ce Si Ru
8 2 2
direct
0.064 0.676 0.915 Ce
0.213 0.391 0.687 Ce
0.324 0.936 0.585 Ce
0.391 0.213 0.187 Ce
0.609 0.787 0.813 Ce
0.676 0.064 0.415 Ce
0.787 0.609 0.313 Ce
0.936 0.324 0.085 Ce
0.385 0.615 0.250 Si
0.615 0.385 0.750 Si
0.004 0.996 0.750 Ru
0.996 0.004 0.250 Ru
```

=====

(3)
For Ce5SiRu, a PBE-relaxed structure gives the computed powder XRD pattern in this record (λ = 1.5418 Å (Cu Kα)).
Peak positions follow from Bragg's law for the DFT cell and can differ from measured ones.

Top 10 peaks for 10° ≤ 2θ ≤ 90°, sorted by position:
== End of the records of crystals ==

Anonymous said...

If u believe what u say, I pity u. Check out Wisconsin. Things cant get worse? Guess again.